On Monday, July 26, the Seal Beach City Council voted 3-2 to approve an ordinance to create an exemption to the city’s requirement that cars park head-in only. The exception will apply to the beach parking lots only.
The staff report requested that the council either approve the exception or give staff direction for an alternative.
Seal Beach Police Chief Phil Gonshak told the council that 20 out of 50 states don’t require front plates on cars.
He also said there was no DMV approved training for people to park by backing into a stall.
On May 24, District Two Councilman Thomas Moore asked for the issue to be discussed at a future council meeting, according to the staff report by SBPD Support Services Capt. Michael Ezroj.
At the July 26 council meeting, Councilman Moore asked if the only purpose of the head-in-only parking requirement was to ensure license plate readers could read the plates.
Gonshak said he wouldn’t say that was the primary reason, but it was definitely part of the reason.
Moore thanked Gonshak for his presentation of the staff report.
Records of crystals from another source follow =
____________
# Ac2InSn, optimized geometry, DFT GGA-PBE
# Formation enthalpy at 0 K: -346.0 meV/atom
# Density: 7.4 g/cm3
data_Ac2InSn
_chemical_formula_sum 'Ac6 In3 Sn3'
_space_group_name_H-M_alt 'R -3 m'
_space_group_IT_number 166
_space_group_name_Hall '-R 3 2"'
_cell_length_a 4.3087
_cell_length_b 4.3087
_cell_length_c 28.7656
_cell_angle_alpha 90.00
_cell_angle_beta 90.00
_cell_angle_gamma 120.00
loop_
_atom_site_label
_atom_site_type_symbol
_atom_site_fract_x
_atom_site_fract_y
_atom_site_fract_z
Ac1 Ac 0.0000 0.0000 0.2472
In1 In 0.0000 0.0000 0.0000
Sn1 Sn 0.0000 0.0000 0.5000

~~~~~

Compound: Zr2Ti2Zn
Source: the Alexandria database
Functional: PBE-GGA
Structure: relaxed

Properties
E_form (eV/atom): 0.0201
Energy above the lowest structure with this stoichiometry (eV/atom): 0.077

abc: 7.0105 7.0105 3.9509
angles: 90.00 90.00 90.00
Last column: nearest neighbours and their distance in Å.
Element x y z (fractional)
Zr (0.1644, 0.3356, 0.0000)  6 Ti 2.80-2.89
Zr (0.3356, 0.8356, 0.0000)  6 Ti 2.80-2.89
Zr (0.6644, 0.1644, 0.0000)  6 Ti 2.80-2.89
Zr (0.8356, 0.6644, 0.0000)  6 Ti 2.80-2.89
Ti (0.1356, 0.6356, 0.5000)  1 Ti 2.69, 2 Zn 2.73, 6 Zr 2.80-2.89
Ti (0.3644, 0.1356, 0.5000)  1 Ti 2.69, 2 Zn 2.73, 6 Zr 2.80-2.89
Ti (0.6356, 0.8644, 0.5000)  1 Ti 2.69, 2 Zn 2.73, 6 Zr 2.80-2.89
Ti (0.8644, 0.3644, 0.5000)  1 Ti 2.69, 2 Zn 2.73, 6 Zr 2.80-2.89
Zn (0.0000, 0.0000, 0.5000)  4 Ti 2.73
Zn (0.5000, 0.5000, 0.5000)  4 Ti 2.73
____________
The piece goes on =
However, Moore said he thought Seal Beach was a community-oriented city. He said the city had received many emails because of the head-in parking requirement.
Apparently some visitors have said they will not return to Seal Beach because of the citations they have received over head-in parking. Councilman Moore said he would like to follow the spirt of the law. He expressed concern that following the letter of the law was harming the community.
District Four Councilwoman Schelly Sustarsic said she visited the beach lots last Saturday. She described the signs announcing the head in parking requirement as “a little small.”
Sustarsic said she was dismayed by some of the letters the city had received. She said she didn’t know the answer.
District Three Councilman Michael Varipapa said he was reluctant to change anything at this time. He said the city’s main concern should be safety. He also expressed concern that solving one issue could create other issues.
District Five Councilwoman Sandra Massa-Lavitt agreed with him. She said she was reluctant to change the parking lot for what she called five people a year who might be unhappy.
Varipapa, who is now retired, said that in his job he had to visit a lot of cities. He said he thought head-in parking was more common than not.
District One Councilman/Mayor Joe Kalmick suggested looking at the visibility and placement of the head-in-only parking signs.
Chief Gonshak said he had thought to make the head-in signs yellow.
Kalmick suggested alternate direction to staff to do a more extensive survey of the signs.
But Moore expressed the opinion that more signs were not the answer.
Moore also described the safety issue as questionable.
Moore moved to approve the new parking ordinance.
- - -
Material: HgSbAs2
Method: DFT, meta-GGA SCAN
State: PBEsol geometry

Total magnetic moment in μB per formula unit: 0.0
DFT total energy in eV/atom: -36.06
Relative energy among the computed polymorphs in eV per formula unit: 0.73
SG: No. 71
Formation energy (no corrections) in eV/atom: 0.396

```
4
Lattice="3.7098 0.0000 0.0000 0.0000 4.5865 0.0000 -1.8549 -2.2932 5.1920" Properties=species:S:1:pos:R:3 pbc="T T T"
Hg 1.8549 0.0000 0.0000
Sb 0.0000 2.2932 0.0000
As 1.8549 2.2932 2.2992
As 0.0000 0.0000 2.8928
```

Material: HgSb2As2
Method: DFT, meta-GGA SCAN
State: PBEsol geometry

Total magnetic moment in μB per formula unit: 0.0
DFT total energy in eV/atom: -36.33
Relative energy among the computed polymorphs in eV per formula unit: 0.37
SG: No. 127
Formation energy (no corrections) in eV/atom: 0.284

```
10
Lattice="3.7086 0.0000 0.0000 0.0000 7.9559 0.0000 0.0000 0.0000 7.9559" Properties=species:S:1:pos:R:3 pbc="T T T"
Sb 0.0000 2.7194 6.6974
Hg 0.0000 3.9780 3.9780
As 1.8543 6.7714 2.7934
Sb 0.0000 1.2585 2.7194
Sb 0.0000 6.6974 5.2365
As 1.8543 1.1846 5.1626
As 1.8543 2.7934 1.1846
As 1.8543 5.1626 6.7714
Sb 0.0000 5.2365 1.2585
Hg 0.0000 0.0000 0.0000
```

Material: HgSbAs2
Method: DFT, meta-GGA SCAN
State: PBEsol geometry

Total magnetic moment in μB per formula unit: 0.0
DFT total energy in eV/atom: -36.24
Relative energy among the computed polymorphs in eV per formula unit: 0.00
SG: No. 122
Formation energy (no corrections) in eV/atom: 0.213

```
8
Lattice="6.1245 0.0000 0.0000 0.0000 6.1245 0.0000 -3.0623 -3.0623 6.3498" Properties=species:S:1:pos:R:3 pbc="T T T"
As -1.5311 -1.5691 4.7624
Sb 3.0623 3.0623 0.0000
Hg 0.0000 0.0000 0.0000
As 1.5311 1.5691 4.7624
Sb 3.0623 0.0000 3.1749
As 1.4931 4.5934 1.5875
As 4.6314 1.5311 1.5875
Hg 0.0000 3.0623 3.1749
```

Material: HgSbAs2
Method: DFT, meta-GGA SCAN
State: PBEsol geometry

Total magnetic moment in μB per formula unit: 0.0
DFT total energy in eV/atom: -36.16
Relative energy among the computed polymorphs in eV per formula unit: 0.31
SG: No. 123
Formation energy (no corrections) in eV/atom: 0.291

```
4
Lattice="-2.9625 -0.3944 -2.3346 2.0113 -2.3922 -2.1481 -2.3124 -5.3978 3.8462" Properties=species:S:1:pos:R:3 pbc="T T T"
Sb -1.6318 -4.0922 -0.3183
As -0.7436 -1.7358 1.2368
As -1.5688 -3.6621 2.6094
Hg -0.4756 -1.3933 -2.2413
```

> Which formula does entry 1 have?

HgSbAs2

~~~~~

A:
{
  "formula": "Ni3AsH",
  "functional": "PBE-GGA",
  "state": "optimized geometry",
  "cell": [[-0.133, 0.655, -2.978], [-4.509, -1.591, 1.402], [-1.829, 6.521, 1.517]],
  "species": ["H", "Ni", "As", "Ni", "Ni", "As", "Ni", "Ni", "Ni", "H"],
  "fractional_positions": [[0.000, 0.000, 0.000], [0.958, 0.920, 0.250], [0.745, 0.487, 0.750], [0.372, 0.740, 0.951], [0.042, 0.080, 0.750], [0.255, 0.513, 0.250], [0.372, 0.740, 0.549], [0.628, 0.260, 0.049], [0.628, 0.260, 0.451], [0.000, 0.000, 0.500]],
  "volume_a3_per_fu": 50
}


B:
{
  "formula": "Ni3AsH",
  "functional": "PBE-GGA",
- - -
Kalmick, Moore, and Sustarsic voted in favor of the ordinance.
Varipapa and Massa-Lavitt voted no.
As stated above, the city code requires head-in parking. The reason, according to the Ezroj report, is so that Automated License Plate Readers can read the plates.
“It should be noted that people from across the nation visit the City, and many states do not require a front license plate like the State of California requires under California Vehicle Code 5200(a),” Ezroj wrote.
“As a result of this adoption, the City placed a total of thirty-six (36) signs, twelve (12) in each beach lot which state ‘Head in Parking Only,’” Ezroj wrote.
“The signs are posted at the single point of entry for each lot, as well as at each pay station and at various posts throughout each parking lot,” Ezroj wrote.
“The City spent $13,550 for parking curbs to prevent pulling forward and to limit backing into stalls. Enforcement officially began taking place in October 2019 once the signs were in highly visible places in each of the beach parking lots,” Ezroj wrote.
“From October 2019 to June 2021, a total of 4,128 citations were issued for Seal Beach Municipal Code (SBMC) 8.20.015 Head in Parking Only,” Ezroj wrote.
According to Ezroj, citations for head-in parking “equate to $260,608 in fines.” Ezroj also wrote that since 2018, the Seal Beach Police Department has responded to seven car collisions in the beach lots.
“Of those seven (7) collisions, one (1) collision was the result of unsafe backing as a subject attempted to reverse in order to get into a parking stall” Ezroj wrote. “The cause of the remaining collisions was the result of drunk drivers or hit and run accidents.”
(Here the piece breaks off for crystal structures)
/*
[1]
! LiAsI2O PBE optimized geometry; values from VASP
! space-group type	P4/mmm, No. 123
! magnetic moment	0.000	μB/atom
! energy relative to the elements, uncorrected	0.133	eV per atom
! VASP energy	-0.205	Ry/atom
! relative energy among the computed polymorphs	660	meV/atom
&SYSTEM
  ibrav = 0, nat = 5, ntyp = 4
/
ATOMIC_SPECIES
As 74.92 As.upf
I 126.90 I.upf
Li 6.94 Li.upf
O 16.00 O.upf
CELL_PARAMETERS angstrom
-1.913 3.440 3.659
-4.372 -3.068 0.598
1.689 -1.889 2.659
ATOMIC_POSITIONS crystal
As 0.500 0.500 0.500
I 0.000 0.500 0.000
I 0.500 0.000 0.000
Li 0.000 0.000 0.000
O 0.000 0.000 0.500


[2]
! Tb5Cd4In PBE optimized geometry; values from VASP
! space-group type	P4/mmm, No. 123
! magnetic moment	0.001	μB/atom
! VASP energy	-0.243	Ry/atom
! energy relative to the elements	-0.35	eV/atom
&SYSTEM
  ibrav = 0, nat = 10, ntyp = 3
/
ATOMIC_SPECIES
Cd 112.41 Cd.upf
Tb 158.93 Tb.upf
In 114.82 In.upf
CELL_PARAMETERS angstrom
3.757 0.000 0.000
0.000 3.757 0.000
0.000 0.000 18.868
ATOMIC_POSITIONS crystal
Cd 0.000 0.000 0.202
Tb 0.500 0.500 0.500
Tb 0.500 0.500 0.898
Cd 0.000 0.000 0.798
Cd 0.000 0.000 0.400
Tb 0.500 0.500 0.102
In 0.000 0.000 0.000
Tb 0.500 0.500 0.301
Tb 0.500 0.500 0.699
Cd 0.000 0.000 0.600


[3]
! Cs5NaI4 PBE optimized geometry; values from VASP
! space-group type	I4/mmm, No. 139
! magnetic moment	0.000	μB/atom
! energy relative to the elements, uncorrected	-1.196	eV per atom
! VASP energy	-0.175	Ry/atom
&SYSTEM
  ibrav = 0, nat = 10, ntyp = 3
/
ATOMIC_SPECIES
Cs 132.91 Cs.upf
I 126.90 I.upf
Na 22.99 Na.upf
CELL_PARAMETERS angstrom
5.591 0.000 -0.788
-0.111 5.590 -0.788
0.028 0.029 20.430
ATOMIC_POSITIONS crystal
Cs 0.700 0.700 0.401
Cs 0.500 0.500 0.000
I 0.602 0.602 0.204
Cs 0.895 0.895 0.790
I 0.202 0.202 0.403
I 0.798 0.798 0.597
Cs 0.300 0.300 0.599
Cs 0.105 0.105 0.210
Na 0.000 0.000 0.000
I 0.398 0.398 0.796


[4]
! TaTiFe2 PBE optimized geometry; values from VASP
! space-group type	Fm-3m, No. 225
! magnetic moment	0.249	μB/atom
! VASP energy	-0.694	Ry/atom
! relative energy among the computed polymorphs	0	meV/atom
! energy relative to the elements	-0.28	eV/atom
&SYSTEM
  ibrav = 0, nat = 4, ntyp = 3
/
ATOMIC_SPECIES
Ta 180.95 Ta.upf
Ti 47.87 Ti.upf
Fe 55.84 Fe.upf
CELL_PARAMETERS angstrom
3.786 -1.348 1.417
0.772 -4.174 0.372
2.717 -1.911 -2.670
ATOMIC_POSITIONS crystal
Ta 0.500 0.500 0.500
Ti 0.000 0.000 0.000
Fe 0.750 0.750 0.750
Fe 0.250 0.250 0.250


[5]
! Er3Cu8Ag PBE optimized geometry; values from VASP
! space-group type	R3m, No. 160
! magnetic moment	0.000	μB/atom
! VASP energy	-0.318	Ry/atom
! energy relative to the elements	-0.21	eV/atom
&SYSTEM
  ibrav = 0, nat = 12, ntyp = 3
/
ATOMIC_SPECIES
Er 167.26 Er.upf
Cu 63.55 Cu.upf
Ag 107.87 Ag.upf
CELL_PARAMETERS angstrom
4.912 0.000 1.483
2.232 4.376 1.483
-0.016 -0.010 8.932
ATOMIC_POSITIONS crystal
Er 0.508 0.508 0.476
Er 0.991 0.991 0.026
Cu 0.437 0.938 0.687
Cu 0.938 0.938 0.687
Cu 0.944 0.434 0.188
Cu 0.938 0.437 0.687
Cu 0.434 0.434 0.188
*/
According to Ezroj’s report, head-in parking is required in Oceanside, Laguna Beach, Paso Robles, San Leandro, El Segundo, and Santa Monica.
“In addition, as cities move to ALPR technology, they are also moving to head in parking regulations,” Ezroj wrote.